Contents:
68
Properties=species:S:1:pos:R:3:forces:R:3:lowdin_charge:R:1 method="wB97M-V/def2-TZVPD" total_energy_ha=-3202.1885 mol_weight_da=626.7 charge=+1
O -2.115836 -3.130996 -1.550799 0.62 -0.05 -0.70 -0.24
S -1.071569 -3.611180 -0.705725 -1.68 0.35 0.78 0.77
O -1.452988 -4.068138 0.598398 0.67 -0.06 0.15 -0.24
C 0.099635 -2.344567 -0.400896 0.53 -0.08 -0.30 -0.25
N 0.295252 -1.971154 0.914958 0.65 0.45 -0.21 0.15
C 1.167574 -0.975545 0.931110 0.05 0.25 -0.02 -0.03
N 1.552140 -0.713969 -0.317068 -0.48 -0.84 -0.25 0.19
C 0.892143 -1.544861 -1.189460 -0.81 -0.80 0.40 -0.18
C 1.021175 -1.508587 -2.662051 1.06 0.89 -0.12 -0.10
C 0.817634 -0.061387 -3.188827 -0.85 -0.60 0.02 -0.20
C -0.638105 0.118976 -3.688005 0.70 0.22 0.58 -0.44
S -1.384468 1.640669 -2.995800 -0.62 -0.37 -0.59 0.89
C -2.527611 0.916160 -1.793503 0.19 -0.15 -0.34 -1.05
S -1.954464 0.345863 -0.385596 0.05 0.07 0.31 0.76
N -3.864705 0.937371 -2.182780 0.11 0.26 1.10 -0.19
C -4.798025 1.463152 -1.158624 -0.03 -0.22 0.08 -0.15
C -5.615259 0.418148 -0.411636 -0.48 0.04 0.14 -0.20
O -6.082651 -0.622805 -1.245716 0.31 -0.08 -0.01 -0.12
C -4.936206 -1.274312 -1.798913 -0.82 0.49 0.29 -0.18
C -4.311872 -0.332901 -2.790199 0.41 0.17 -0.94 -0.13
C -0.220369 -5.080524 -1.472511 0.38 -0.07 -0.34 -0.47
F -1.061021 -6.081161 -1.257079 -0.32 0.04 -0.04 0.16
F 0.914792 -5.320816 -0.808695 0.07 0.22 0.21 0.14
C 0.121442 -5.016312 -2.999721 -0.03 -0.86 0.27 -0.59
F 1.334752 -4.504383 -3.163387 0.15 0.41 -0.05 0.18
F -0.764880 -4.322750 -3.686305 -0.15 0.36 -0.16 0.19
F 0.134334 -6.259440 -3.457781 0.03 -0.10 -0.07 0.21
H -0.158976 -2.384696 1.717003 -0.12 -0.12 -0.02 0.18
H 1.524783 -0.420533 1.777940 -0.04 0.02 0.17 0.16
H 2.182887 0.039008 -0.570337 -0.11 0.36 0.30 0.15
H 0.347283 -2.212105 -3.127517 -0.19 -0.08 -0.04 0.10
H 2.037675 -1.818539 -2.909307 0.05 -0.21 -0.02 0.14
H 1.537702 0.176085 -3.962177 0.11 0.00 -0.11 0.12
H 0.948205 0.627369 -2.362347 0.25 0.23 -0.02 0.07
H -0.691771 0.152475 -4.770031 -0.04 0.17 -0.13 0.08
H -1.222874 -0.734317 -3.364343 -0.27 0.00 0.08 0.05
H -4.230822 2.017139 -0.417333 0.14 0.16 -0.02 0.11
H -5.460060 2.176676 -1.644091 -0.12 -0.08 -0.24 0.13
H -5.071533 -0.011877 0.433926 0.28 -0.03 -0.03 0.11
H -6.492501 0.911841 -0.000807 -0.12 0.03 0.04 0.13
H -4.270118 -1.526098 -0.974092 0.28 -0.22 -0.09 0.10
H -5.293986 -2.166962 -2.299686 0.07 -0.18 -0.05 0.14
H -5.020624 -0.090530 -3.578197 -0.26 -0.04 0.01 0.13
H -3.472438 -0.818628 -3.284879 0.19 0.06 0.00 0.11
O 2.365258 1.604189 0.719893 0.19 -0.11 -0.15 0.07
C 3.395160 2.183682 0.452673 0.02 -0.06 0.35 -0.46
O 3.779841 2.340152 -0.819891 0.03 -0.07 -0.10 0.03
C 5.091948 2.956081 -0.869894 0.26 0.18 0.01 -0.13
C 5.235281 3.663255 0.468801 -0.05 -0.08 0.08 -0.13
C 4.414163 2.764863 1.398325 0.15 0.51 -0.50 -0.07
H 5.832118 2.166836 -1.009121 -0.04 -0.04 0.02 0.13
H 5.131446 3.629250 -1.721207 -0.16 -0.07 -0.07 0.13
H 6.270604 3.792063 0.773523 0.02 -0.06 -0.02 0.12
H 4.774791 4.650038 0.416934 0.02 0.01 -0.02 0.12
H 5.006863 1.947429 1.812846 -0.08 -0.02 0.09 0.14
H 3.935710 3.310378 2.199764 -0.09 -0.22 0.19 0.10
O 2.904719 2.669004 4.024516 0.03 -0.03 0.14 0.11
C 2.105548 2.305824 4.840946 -0.11 -0.02 -0.22 -0.48
O 2.468183 1.733140 6.003568 0.00 -0.03 0.04 0.04
C 1.303410 1.310769 6.740051 -0.16 0.00 0.10 -0.14
C 0.162767 2.161772 6.197914 -0.04 0.01 -0.12 -0.15
C 0.592124 2.373716 4.746390 -0.03 0.12 0.48 -0.07
H 1.151416 0.244439 6.559403 0.01 0.00 -0.02 0.13
H 1.483679 1.463540 7.800216 0.15 0.01 -0.02 0.13
H -0.812666 1.694719 6.313318 0.03 -0.06 0.00 0.12
H 0.139152 3.120693 6.715634 0.00 0.00 0.02 0.12
H 0.248263 1.570620 4.091631 0.00 0.05 -0.07 0.12
H 0.276542 3.332688 4.346651 0.04 -0.06 -0.21 0.13


1.
This record from OMol25 describes a structure of composition C32H28N7O4SW. The level of theory is ωB97M-V/def2-TZVPD.

```
73
Properties=species:S:1:pos:R:3
W -0.0544 -0.2160 -0.3964
S 0.7780 -1.5353 1.8400
O -2.2414 2.2798 0.1307
O -1.4542 3.9263 1.6283
O 1.9268 2.7907 1.9011

Request:
It remains to quote the material above character by character.

Outcome:
68
Properties=species:S:1:pos:R:3:forces:R:3:lowdin_charge:R:1 method="wB97M-V/def2-TZVPD" total_energy_ha=-3202.1885 mol_weight_da=626.7 charge=+1
O -2.115836 -3.130996 -1.550799 0.62 -0.05 -0.70 -0.24
S -1.071569 -3.611180 -0.705725 -1.68 0.35 0.78 0.77
O -1.452988 -4.068138 0.598398 0.67 -0.06 0.15 -0.24
C 0.099635 -2.344567 -0.400896 0.53 -0.08 -0.30 -0.25
N 0.295252 -1.971154 0.914958 0.65 0.45 -0.21 0.15
C 1.167574 -0.975545 0.931110 0.05 0.25 -0.02 -0.03
N 1.552140 -0.713969 -0.317068 -0.48 -0.84 -0.25 0.19
C 0.892143 -1.544861 -1.189460 -0.81 -0.80 0.40 -0.18
C 1.021175 -1.508587 -2.662051 1.06 0.89 -0.12 -0.10
C 0.817634 -0.061387 -3.188827 -0.85 -0.60 0.02 -0.20
C -0.638105 0.118976 -3.688005 0.70 0.22 0.58 -0.44
S -1.384468 1.640669 -2.995800 -0.62 -0.37 -0.59 0.89
C -2.527611 0.916160 -1.793503 0.19 -0.15 -0.34 -1.05
S -1.954464 0.345863 -0.385596 0.05 0.07 0.31 0.76
N -3.864705 0.937371 -2.182780 0.11 0.26 1.10 -0.19
C -4.798025 1.463152 -1.158624 -0.03 -0.22 0.08 -0.15
C -5.615259 0.418148 -0.411636 -0.48 0.04 0.14 -0.20
O -6.082651 -0.622805 -1.245716 0.31 -0.08 -0.01 -0.12
C -4.936206 -1.274312 -1.798913 -0.82 0.49 0.29 -0.18
C -4.311872 -0.332901 -2.790199 0.41 0.17 -0.94 -0.13
C -0.220369 -5.080524 -1.472511 0.38 -0.07 -0.34 -0.47
F -1.061021 -6.081161 -1.257079 -0.32 0.04 -0.04 0.16
F 0.914792 -5.320816 -0.808695 0.07 0.22 0.21 0.14
C 0.121442 -5.016312 -2.999721 -0.03 -0.86 0.27 -0.59
F 1.334752 -4.504383 -3.163387 0.15 0.41 -0.05 0.18
F -0.764880 -4.322750 -3.686305 -0.15 0.36 -0.16 0.19
F 0.134334 -6.259440 -3.457781 0.03 -0.10 -0.07 0.21
H -0.158976 -2.384696 1.717003 -0.12 -0.12 -0.02 0.18
H 1.524783 -0.420533 1.777940 -0.04 0.02 0.17 0.16
H 2.182887 0.039008 -0.570337 -0.11 0.36 0.30 0.15
H 0.347283 -2.212105 -3.127517 -0.19 -0.08 -0.04 0.10
H 2.037675 -1.818539 -2.909307 0.05 -0.21 -0.02 0.14
H 1.537702 0.176085 -3.962177 0.11 0.00 -0.11 0.12
H 0.948205 0.627369 -2.362347 0.25 0.23 -0.02 0.07
H -0.691771 0.152475 -4.770031 -0.04 0.17 -0.13 0.08
H -1.222874 -0.734317 -3.364343 -0.27 0.00 0.08 0.05
H -4.230822 2.017139 -0.417333 0.14 0.16 -0.02 0.11
H -5.460060 2.176676 -1.644091 -0.12 -0.08 -0.24 0.13
H -5.071533 -0.011877 0.433926 0.28 -0.03 -0.03 0.11
H -6.492501 0.911841 -0.000807 -0.12 0.03 0.04 0.13
H -4.270118 -1.526098 -0.974092 0.28 -0.22 -0.09 0.10
H -5.293986 -2.166962 -2.299686 0.07 -0.18 -0.05 0.14
H -5.020624 -0.090530 -3.578197 -0.26 -0.04 0.01 0.13
H -3.472438 -0.818628 -3.284879 0.19 0.06 0.00 0.11
O 2.365258 1.604189 0.719893 0.19 -0.11 -0.15 0.07
C 3.395160 2.183682 0.452673 0.02 -0.06 0.35 -0.46
O 3.779841 2.340152 -0.819891 0.03 -0.07 -0.10 0.03
C 5.091948 2.956081 -0.869894 0.26 0.18 0.01 -0.13
C 5.235281 3.663255 0.468801 -0.05 -0.08 0.08 -0.13
C 4.414163 2.764863 1.398325 0.15 0.51 -0.50 -0.07
H 5.832118 2.166836 -1.009121 -0.04 -0.04 0.02 0.13
H 5.131446 3.629250 -1.721207 -0.16 -0.07 -0.07 0.13
H 6.270604 3.792063 0.773523 0.02 -0.06 -0.02 0.12
H 4.774791 4.650038 0.416934 0.02 0.01 -0.02 0.12
H 5.006863 1.947429 1.812846 -0.08 -0.02 0.09 0.14
H 3.935710 3.310378 2.199764 -0.09 -0.22 0.19 0.10
O 2.904719 2.669004 4.024516 0.03 -0.03 0.14 0.11
C 2.105548 2.305824 4.840946 -0.11 -0.02 -0.22 -0.48
O 2.468183 1.733140 6.003568 0.00 -0.03 0.04 0.04
C 1.303410 1.310769 6.740051 -0.16 0.00 0.10 -0.14
C 0.162767 2.161772 6.197914 -0.04 0.01 -0.12 -0.15
C 0.592124 2.373716 4.746390 -0.03 0.12 0.48 -0.07
H 1.151416 0.244439 6.559403 0.01 0.00 -0.02 0.13
H 1.483679 1.463540 7.800216 0.15 0.01 -0.02 0.13
H -0.812666 1.694719 6.313318 0.03 -0.06 0.00 0.12
H 0.139152 3.120693 6.715634 0.00 0.00 0.02 0.12
H 0.248263 1.570620 4.091631 0.00 0.05 -0.07 0.12
H 0.276542 3.332688 4.346651 0.04 -0.06 -0.21 0.13


1.
This record from OMol25 describes a structure of composition C32H28N7O4SW. The level of theory is ωB97M-V/def2-TZVPD.

```
73
Properties=species:S:1:pos:R:3
W -0.0544 -0.2160 -0.3964
S 0.7780 -1.5353 1.8400
O -2.2414 2.2798 0.1307
O -1.4542 3.9263 1.6283
O 1.9268 2.7907 1.9011